Insert Measurement Vectors

In the graphics window, a measurement vector will be rendered as a line originating from the associated measurement point, with a colour that indicates the detector measuring the vector.

Loading vectors from file

To import a Measurement vector file (.vecs), Go to Insert > Measurement Vectors > File…, browse to the location of the file and select it.

Create vectors from euler angles

For some experiments, it may be necessary to create measurement vectors by rotating the Q-vectors of the instrument by known matrices. This can be done by creating an Euler angle file (.angles) containing Euler angles for each measurement point, import the Euler angle file (.angles) by clicking Insert > Measurement Vectors > Euler Angles…, then browse to the location of the file and select it. A rotation matrix will be created for each points using the angles and the given order in the file and the measurement vector created with the matrix.

• Someone pasted data records at this point:
=====
This record from Alexandria via LeMat-Bulk describes a relaxed AcPrHg17 crystal. The functional is PBE.

The structure belongs to space group R3m (No. 160, hexagonal axes); the cell edges are 10.0363, 10.0363 and 17.4796 Å and the angles 90.00°, 90.00° and 120.00°. The asymmetric unit holds Ac at (0.0000, 0.0000, 0.0000), Pr at (0.0000, 0.0000, 0.6821), Hg at (0.0000, 0.0000, 0.3084), Hg at (0.0000, 0.0000, 0.4784), Hg at (0.0032, 0.3083, 0.3609), Hg at (0.0395, 0.5197, 0.2259), Hg at (0.0956, 0.5478, 0.4999) and Hg at (0.1015, 0.5507, 0.8417).

Its magnetic moment is 0.0 Bohr magnetons per cell. The calculation puts the density at 12.34 g/cm3. The calculation puts the raw total energy at -49.85 eV per cell. As for the density of states at the Fermi level: 0.392 states/eV per atom.


Sr6Bi2O11: relaxed, PBE.

E_form (uncorrected): -2.061 eV per atom
Theoretical density: 5.347 Mg/m³

Cell: 8.7327 8.7327 9.1188 Å, 90.00 90.00 90.00°
With the nearest neighbours (Å) after each atom.
Fractional coordinates of all 38 atoms:
Sr 0.2755 0.7755 0.7888  4 O 2.55-2.64
Sr 0.2755 0.2245 0.7888  4 O 2.55-2.64
Sr 0.2245 0.2755 0.2112  4 O 2.55-2.64
Sr 0.2245 0.7245 0.2112  4 O 2.55-2.64
Sr 0.5000 0.5000 0.5000  6 O 2.46-2.56
Sr 0.7245 0.2245 0.7888  4 O 2.55-2.64
Sr 0.5000 0.0000 0.0630  5 O 2.27-2.34
Sr 0.7245 0.7755 0.7888  4 O 2.55-2.64
Sr 0.7755 0.7245 0.2112  4 O 2.55-2.64
Sr 0.7755 0.2755 0.2112  4 O 2.55-2.64
Sr 0.0000 0.0000 0.5000  6 O 2.46-2.56
Sr 0.0000 0.5000 0.9370  5 O 2.27-2.34
Bi 0.0000 0.0000 0.0000  6 O 2.10-2.16
Bi 0.5000 0.0000 0.5374  5 O 2.05-2.12
Bi 0.5000 0.5000 0.0000  6 O 2.10-2.16
Bi 0.0000 0.5000 0.4626  5 O 2.05-2.12
O 0.2540 0.5000 0.0198  1 Bi 2.16, 1 Sr 2.34
O 0.5000 0.7460 0.9802  1 Bi 2.16, 1 Sr 2.34
O 0.2699 0.0000 0.6104  1 Bi 2.12
O 0.2301 0.5000 0.3896  1 Bi 2.12
O 0.5000 0.2301 0.6104  1 Bi 2.12
O 0.0000 0.7540 0.0198  1 Bi 2.16, 1 Sr 2.34
O 0.7540 0.0000 0.9802  1 Bi 2.16, 1 Sr 2.34
O 0.5000 0.5000 0.2298  1 Bi 2.10
O 0.5000 0.5000 0.7702  1 Bi 2.10
O 0.2460 0.0000 0.9802  1 Bi 2.16, 1 Sr 2.34
O 0.0000 0.2460 0.0198  1 Bi 2.16, 1 Sr 2.34
O 0.5000 0.7699 0.6104  1 Bi 2.12
O 0.7699 0.5000 0.3896  1 Bi 2.12
O 0.5000 0.0000 0.3123  1 Bi 2.05, 1 Sr 2.27
O 0.0000 0.5000 0.6877  1 Bi 2.05, 1 Sr 2.27
O 0.7301 0.0000 0.6104  1 Bi 2.12
O 0.0000 0.7301 0.3896  1 Bi 2.12
O 0.5000 0.2540 0.9802  1 Bi 2.16, 1 Sr 2.34
O 0.0000 0.0000 0.2298  1 Bi 2.10
O 0.0000 0.0000 0.7702  1 Bi 2.10
O 0.7460 0.5000 0.0198  1 Bi 2.16, 1 Sr 2.34
O 0.0000 0.2699 0.3896  1 Bi 2.12


Material: TcMo3C
Method: DFT, PBE
State: relaxed

abc: 4.6685 4.6685 4.6685
angles: 90.00 90.00 90.00
With the nearest neighbours (Å) after each atom.
Space group Pm-3m (No. 221)
One atom of each set of equivalent atoms:
1 Tc 0.0000 0.0000 0.0000 [1 per cell]  6 Mo 2.33
2 Mo 0.0000 0.0000 0.5000 [3 per cell]  2 Tc 2.33
3 C 0.5000 0.5000 0.5000 [1 per cell]  12 Mo 3.30

Values from the calculation:
=====
• Back to the article:

Select strain components

Click Insert > Measurement Vectors > Select Strain Component

Key-in fiducials window
  1. Select the measurement point to apply strain component to.

  2. Select the detector that will measure the strain component.

  3. Select strain component direction.

  4. Click the Reverse direction checkbox to negate the vector if necessary.

  5. Click Add Measurement Vector button.

Setting up multiple alignments

It may be advantageous to measure more than one component at a measurement point before moving on to the next measurement point. For example, using the ENGIN-X goniometer it is possible set up multiple alignments such that all three strain components are measured at each point before moving on to the next point. This option is only suitable for positioning systems with sufficient degrees of freedom. To add a new alignment:

  1. Click the “Add new…” option in the alignment drop-down box.

  2. Follow the steps to select stain components for the new alignment.

# Records of crystals from another source follow
........
SrPtRh: relaxed, PBE.

Output
- distance to the lowest polymorph of the same formula (eV per formula unit) = 0.72
- calculated volume (Å³/cell) = 72
- final energy (eV/atom) = -5.392
- energy of formation from the pure elements (eV/atom) = -0.37
- spin magnetization (μB per atom) = 0.315

Unit cell a=4.345 b=4.345 c=4.430 alpha=90.00 beta=90.00 gamma=120.00
Element x y z (fractional)
1 Sr 0.000 0.000 0.000
2 Pt 0.667 0.333 0.500
3 Rh 0.333 0.667 0.500

Mn2VSbN: relaxed, PBE.

Output
- calculated volume (Å³/cell) = 64
- final energy (eV/atom) = -8.242
- raw formation energy (eV per atom) = -0.26
- spin magnetization (μB per atom) = 0.786

Unit cell a=3.970 b=3.970 c=4.065 alpha=90.00 beta=90.00 gamma=90.00
Element x y z (fractional)
1 Mn 0.000 0.500 0.000
2 Mn 0.500 0.000 0.000
3 V 0.000 0.000 0.500
4 Sb 0.500 0.500 0.500
5 N 0.000 0.000 0.000

BeCd2Si: relaxed, PBE.

Output
- distance to the lowest polymorph of the same formula (eV per formula unit) = 0.86
- calculated volume (Å³/cell) = 69
- final energy (eV/atom) = -2.245
- raw formation energy (eV per atom) = 0.50
- spin magnetization (μB per atom) = 0.000

Unit cell a=2.944 b=2.944 c=8.020 alpha=90.00 beta=90.00 gamma=90.00
Element x y z (fractional)
1 Be 0.000 0.000 0.000
2 Cd 0.500 0.500 0.216
3 Cd 0.500 0.500 0.784
4 Si 0.000 0.000 0.500

PmMgRh: relaxed, PBE.

Output
- distance to the lowest polymorph of the same formula (eV per formula unit) = 0.53
- calculated volume (Å³/cell) = 74
- final energy (eV/atom) = -5.008
- energy of formation from the pure elements (eV/atom) = -0.44
- spin magnetization (μB per atom) = 0.000

Unit cell a=4.710 b=4.710 c=4.710 alpha=60.00 beta=60.00 gamma=60.00
Element x y z (fractional)
1 Pm 0.000 0.000 0.000
2 Mg 0.500 0.500 0.500
3 Rh 0.250 0.250 0.250
........
# The records of crystals stop here

Manage measurement vectors

Measurement vectors can be viewed and managed via the vector manager. The vector manager will be opened when measurement vectors are added, if the vector manager is closed it can be opened by selecting View > Other Windows > Measurement Vectors in the menu.

<<<
Computed, not measured: an optimized crystal structure of Ac6TbPr4 at the PBE-GGA level of DFT.

Properties
Volume in Å³/cell: 483
Formation enthalpy at 0 K in eV per atom: 0.302
Fermi-level density of states in states/eV/cell: 18.817

Lattice parameters (Å, degrees): 11.4285 11.4285 11.4285 145.23 145.23 50.00
Closest atoms and distances in Å follow each position.
Element x y z (fractional)
Ac  0.0000  0.5000  0.5000  2 Tb 3.42, 4 Pr 3.73
Ac  0.1114  0.1114  0.6017  5 Pr 3.63-3.71, 1 Ac 3.85
Ac  0.4902  0.8886  0.0000  5 Pr 3.63-3.71, 1 Ac 3.85
Ac  0.5000  0.0000  0.5000  2 Tb 3.42, 4 Pr 3.73
Ac  0.5098  0.5098  0.3983  5 Pr 3.63-3.71, 1 Ac 3.85
Ac  0.8886  0.4902  0.0000  5 Pr 3.63-3.71, 1 Ac 3.85
Tb  0.0000  0.0000  0.0000  4 Pr 3.36, 4 Ac 3.42
Pr  0.0583  0.6722  0.0000  1 Tb 3.36, 7 Ac 3.63-3.73, 1 Pr 3.73
Pr  0.3278  0.3278  0.3861  1 Tb 3.36, 7 Ac 3.63-3.73, 1 Pr 3.73
Pr  0.6722  0.0583  0.0000  1 Tb 3.36, 7 Ac 3.63-3.73, 1 Pr 3.73
Pr  0.9417  0.9417  0.6139  1 Tb 3.36, 7 Ac 3.63-3.73, 1 Pr 3.73

---

Computed, not measured: an optimized crystal structure of AlSbAs3 at the PBE-GGA level of DFT.

Properties
Polymorph energy (0 for the lowest one) in eV per atom: 0.508
Volume in Å³/cell: 147
Uncorrected formation energy in kcal/mol of atoms: 22.62
Fermi-level density of states in states/eV/cell: 4.938

Lattice parameters (Å, degrees): 5.2827 5.2827 5.2827 90.00 90.00 90.00
Closest atoms and distances in Å follow each position.
Element x y z (fractional)
Al  0.0000  0.0000  0.0000  12 As 3.74
Sb  0.5000  0.5000  0.5000  6 As 2.64
As  0.0000  0.5000  0.5000  2 Sb 2.64
As  0.5000  0.0000  0.5000  2 Sb 2.64
As  0.5000  0.5000  0.0000  2 Sb 2.64

---

Number 1: magnetic moment 0.0 Bohr magnetons per cell. Number 2: magnetic moment 0.0 Bohr magnetons per cell.

----------

1.
! ZrTaRh2 PBE optimized geometry; values from VASP
&SYSTEM
  ibrav = 0, nat = 4, ntyp = 3
/
ATOMIC_SPECIES
Zr 91.22 Zr.upf
Ta 180.95 Ta.upf
Rh 102.91 Rh.upf
CELL_PARAMETERS angstrom
4.2175 0.0000 0.0000
0.0000 4.2175 0.0000
0.0000 0.0000 3.7922
ATOMIC_POSITIONS crystal
Zr 0.0000 0.0000 0.0000
Ta 0.5000 0.5000 0.0000
Rh 0.0000 0.5000 0.5000
Rh 0.5000 0.0000 0.5000
! Magnetic moment in μB per cell: 0.00
! Total energy in eV per atom: -9.29
! ΔH_f (0 K) in kJ per mole of atoms: -49.82
! Mass density in kg/m³: 11767



2.
! ZrTaRh2 PBE optimized geometry; values from VASP
&SYSTEM
  ibrav = 0, nat = 4, ntyp = 3
/
ATOMIC_SPECIES
Zr 91.22 Zr.upf
Ta 180.95 Ta.upf
Rh 102.91 Rh.upf
CELL_PARAMETERS angstrom
4.3936 0.0000 0.0000
0.0000 1.5565 5.0759
0.0000 -1.5565 5.0759
ATOMIC_POSITIONS crystal
Zr 0.0000 0.0000 0.0000
Ta 0.5000 0.2863 0.2863
Rh 0.0000 0.7386 0.7386
Rh 0.5000 0.5534 0.5534
! Magnetic moment in μB per cell: 0.00
! Total energy in eV per atom: -9.37
! ΔH_f (0 K) in kJ per mole of atoms: -57.30
! Mass density in kg/m³: 11433



3.
! Zr2TaRh PBE optimized geometry; values from VASP
&SYSTEM
  ibrav = 0, nat = 4, ntyp = 3
/
ATOMIC_SPECIES
Zr 91.22 Zr.upf
Ta 180.95 Ta.upf
>>>

Vector manager window

The vector manager can be used to delete measurement vectors, select one or more rows (multiple rows can be selected using Shift + Left Mouse Click or Ctrl + Left Mouse Click) and click the delete button then select Delete Vectors from the menu. The deleted vector will be set to a zero vector which means the orientation of the sample would not be changed during simulation for that measurement vector. If no row is selected, all the vectors in the selected alignment will be deleted.

When more than one alignment is present, the vector manager can be used to remove an alignment. Select the alignment from the drop-down and click the delete button then select Delete Alignment from the menu.


The software will only render one alignment at a time. To view a different alignment, select the alignment from the vector manager.

Export measurement vectors

The measurement vectors can be exported from project file to a Measurement vector file (.vecs). Click File > Export… > Measurement Vectors in the main menu, navigate to the desired save location in the file dialog, enter a name for the file and press the Save button.